To do =
Print the rows underneath unchanged.

Listing =
- - -
Computed, not measured: a relaxed structure of YbFe2 at the r²SCAN level of DFT.

Summary:
space group	P6_3/mmc, No. 194
energy relative to the elements	-0.051	eV per atom

Cell lengths 5.1289, 5.1304, 8.3833 Å; angles 90.00, 90.00, 119.99 degrees
Sites, in units of the cell vectors:
Yb: 0.3334 0.6667 0.4370
Yb: 0.6666 0.3333 0.5630
Yb: 0.6666 0.3333 0.9370
Yb: 0.3334 0.6667 0.0630
Fe: 0.0000 0.0000 0.5000
Fe: 0.0000 0.0000 0.0000
Fe: 0.8369 0.1634 0.2500
Fe: 0.8369 0.6738 0.2500
Fe: 0.3265 0.1634 0.2500
Fe: 0.1631 0.8366 0.7500
Fe: 0.1631 0.3262 0.7500
Fe: 0.6735 0.8366 0.7500

---

Computed, not measured: a relaxed structure of Zr3Fe at the r²SCAN level of DFT.

Summary:
space group	Cmcm, No. 63
energy relative to the elements	0.018	eV per atom

Cell lengths 3.2627, 5.7017, 8.9568 Å; angles 90.00, 90.00, 106.63 degrees
Sites, in units of the cell vectors:
Zr: 0.4193 0.8386 0.7498
Zr: 0.5807 0.1615 0.2502
Zr: 0.1384 0.2768 0.9379
Zr: 0.8616 0.7232 0.0619
Zr: 0.8616 0.7232 0.4382
Zr: 0.1384 0.2768 0.5619
Fe: 0.7327 0.4655 0.7498
Fe: 0.2673 0.5345 0.2502

---

Computed, not measured: a relaxed structure of Zr6Fe23 at the r²SCAN level of DFT.

Summary:
space group	Fm-3m, No. 225
energy relative to the elements	-0.128	eV per atom

Cell lengths 8.3012, 8.3008, 8.3016 Å; angles 60.00, 60.00, 60.01 degrees
Sites, in units of the cell vectors:
Zr: 0.7954 0.2046 0.2046
Zr: 0.7955 0.7955 0.2045
Zr: 0.7955 0.2045 0.7955
Zr: 0.2045 0.2045 0.7955
Zr: 0.2045 0.7955 0.2045
Zr: 0.2046 0.7954 0.7954
Fe: 0.8267 0.5198 0.8267
Fe: 0.1733 0.4802 0.1733
Fe: 0.0000 0.5000 0.0000
Fe: 0.3784 0.3785 0.3784
Fe: 0.1733 0.1733 0.4802
Fe: 0.1354 0.6216 0.6215
Fe: 0.5000 0.0000 0.0000
Fe: 0.8267 0.8267 0.8267
Fe: 0.5199 0.8267 0.8267
Fe: 0.6216 0.1354 0.6216
Fe: 0.5000 0.5000 0.5000
Fe: 0.4801 0.1733 0.1733
Fe: 0.8646 0.3784 0.3785
Fe: 0.1733 0.1733 0.1733
Fe: 0.5000 0.0000 0.5000
Fe: 0.0000 0.0000 0.5000
Fe: 0.6215 0.6215 0.1354
Fe: 0.8267 0.8267 0.5198
Fe: 0.6216 0.6215 0.6216
Fe: 0.3784 0.8646 0.3784
Fe: 0.5000 0.5000 0.0000
Fe: 0.3785 0.3785 0.8646
Fe: 0.0000 0.5000 0.5000

---

Computed, not measured: a relaxed structure of ZrFe2 at the r²SCAN level of DFT.

Summary:
space group	Fd-3m, No. 227
energy relative to the elements	-0.200	eV per atom

Cell lengths 5.0169, 5.0169, 5.0169 Å; angles 60.00, 60.00, 60.00 degrees
Sites, in units of the cell vectors:
Zr: 0.0000 0.0000 0.0000
Zr: 0.2500 0.2500 0.2500
Fe: 0.6250 0.6250 0.1250
Fe: 0.6250 0.1250 0.6250
Fe: 0.6250 0.6250 0.6250
Fe: 0.1250 0.6250 0.6250

---

Computed, not measured: a relaxed structure of ZrFe2 at the r²SCAN level of DFT.

Summary:
space group	P6_3/mmc, No. 194
energy relative to the elements	-0.198	eV per atom

Cell lengths 5.0230, 5.0230, 16.4264 Å; angles 90.00, 90.00, 120.00 degrees
Sites, in units of the cell vectors:
Zr: 0.0000 0.0000 0.5947
Zr: 0.0000 0.0000 0.4054
Zr: 0.0000 0.0000 0.0946
Zr: 0.0000 0.0000 0.9054
Zr: 0.6667 0.3333 0.3438
Zr: 0.3333 0.6667 0.6562
Zr: 0.3333 0.6667 0.8439
Zr: 0.6667 0.3333 0.1561
Fe: 0.6667 0.3333 0.6237
Fe: 0.3333 0.6667 0.3763
Fe: 0.3333 0.6667 0.1235
Fe: 0.6667 0.3333 0.8765
Fe: 0.5000 0.0000 0.5000
Fe: 0.5000 0.5000 0.5000
Fe: 0.0000 0.5000 0.5000
Fe: 0.5000 0.0000 0.0000
Fe: 0.5000 0.5000 0.0000
Fe: 0.0000 0.5000 0.0000
Fe: 0.8334 0.6669 0.7501
Fe: 0.8334 0.1666 0.7501
Fe: 0.3331 0.1666 0.7501
Fe: 0.1666 0.3331 0.2499
Fe: 0.1666 0.8334 0.2499
Fe: 0.6669 0.8334 0.2499

---

Computed, not measured: a relaxed structure of Gd3Ga at the r²SCAN level of DFT.

Summary:
space group	Pm-3m, No. 221
energy relative to the elements	-0.303	eV per atom

Cell lengths 4.7590, 4.7591, 4.7590 Å; angles 90.00, 90.00, 90.00 degrees
Sites, in units of the cell vectors:
Gd: 0.0000 0.5000 0.5000
Gd: 0.5000 0.0000 0.5000
Gd: 0.5000 0.5000 0.0000
Ga: 0.0000 0.0000 0.0000

---

Computed, not measured: a relaxed structure of GdGa at the r²SCAN level of DFT.

Summary:
space group	Cmcm, No. 63
energy relative to the elements	-0.704	eV per atom
- - -

Solution =
Computed, not measured: a relaxed structure of YbFe2 at the r²SCAN level of DFT.

Summary:
space group	P6_3/mmc, No. 194
energy relative to the elements	-0.051	eV per atom

Cell lengths 5.1289, 5.1304, 8.3833 Å; angles 90.00, 90.00, 119.99 degrees
Sites, in units of the cell vectors:
Yb: 0.3334 0.6667 0.4370
Yb: 0.6666 0.3333 0.5630
Yb: 0.6666 0.3333 0.9370
Yb: 0.3334 0.6667 0.0630
Fe: 0.0000 0.0000 0.5000
Fe: 0.0000 0.0000 0.0000
Fe: 0.8369 0.1634 0.2500
Fe: 0.8369 0.6738 0.2500
Fe: 0.3265 0.1634 0.2500
Fe: 0.1631 0.8366 0.7500
Fe: 0.1631 0.3262 0.7500
Fe: 0.6735 0.8366 0.7500

---

Computed, not measured: a relaxed structure of Zr3Fe at the r²SCAN level of DFT.

Summary:
space group	Cmcm, No. 63
energy relative to the elements	0.018	eV per atom

Cell lengths 3.2627, 5.7017, 8.9568 Å; angles 90.00, 90.00, 106.63 degrees
Sites, in units of the cell vectors:
Zr: 0.4193 0.8386 0.7498
Zr: 0.5807 0.1615 0.2502
Zr: 0.1384 0.2768 0.9379
Zr: 0.8616 0.7232 0.0619
Zr: 0.8616 0.7232 0.4382
Zr: 0.1384 0.2768 0.5619
Fe: 0.7327 0.4655 0.7498
Fe: 0.2673 0.5345 0.2502

---

Computed, not measured: a relaxed structure of Zr6Fe23 at the r²SCAN level of DFT.

Summary:
space group	Fm-3m, No. 225
energy relative to the elements	-0.128	eV per atom

Cell lengths 8.3012, 8.3008, 8.3016 Å; angles 60.00, 60.00, 60.01 degrees
Sites, in units of the cell vectors:
Zr: 0.7954 0.2046 0.2046
Zr: 0.7955 0.7955 0.2045
Zr: 0.7955 0.2045 0.7955
Zr: 0.2045 0.2045 0.7955
Zr: 0.2045 0.7955 0.2045
Zr: 0.2046 0.7954 0.7954
Fe: 0.8267 0.5198 0.8267
Fe: 0.1733 0.4802 0.1733
Fe: 0.0000 0.5000 0.0000
Fe: 0.3784 0.3785 0.3784
Fe: 0.1733 0.1733 0.4802
Fe: 0.1354 0.6216 0.6215
Fe: 0.5000 0.0000 0.0000
Fe: 0.8267 0.8267 0.8267
Fe: 0.5199 0.8267 0.8267
Fe: 0.6216 0.1354 0.6216
Fe: 0.5000 0.5000 0.5000
Fe: 0.4801 0.1733 0.1733
Fe: 0.8646 0.3784 0.3785
Fe: 0.1733 0.1733 0.1733
Fe: 0.5000 0.0000 0.5000
Fe: 0.0000 0.0000 0.5000
Fe: 0.6215 0.6215 0.1354
Fe: 0.8267 0.8267 0.5198
Fe: 0.6216 0.6215 0.6216
Fe: 0.3784 0.8646 0.3784
Fe: 0.5000 0.5000 0.0000
Fe: 0.3785 0.3785 0.8646
Fe: 0.0000 0.5000 0.5000

---

Computed, not measured: a relaxed structure of ZrFe2 at the r²SCAN level of DFT.

Summary:
space group	Fd-3m, No. 227
energy relative to the elements	-0.200	eV per atom

Cell lengths 5.0169, 5.0169, 5.0169 Å; angles 60.00, 60.00, 60.00 degrees
Sites, in units of the cell vectors:
Zr: 0.0000 0.0000 0.0000
Zr: 0.2500 0.2500 0.2500
Fe: 0.6250 0.6250 0.1250
Fe: 0.6250 0.1250 0.6250
Fe: 0.6250 0.6250 0.6250
Fe: 0.1250 0.6250 0.6250

---

Computed, not measured: a relaxed structure of ZrFe2 at the r²SCAN level of DFT.

Summary:
space group	P6_3/mmc, No. 194
energy relative to the elements	-0.198	eV per atom

Cell lengths 5.0230, 5.0230, 16.4264 Å; angles 90.00, 90.00, 120.00 degrees
Sites, in units of the cell vectors:
Zr: 0.0000 0.0000 0.5947
Zr: 0.0000 0.0000 0.4054
Zr: 0.0000 0.0000 0.0946
Zr: 0.0000 0.0000 0.9054
Zr: 0.6667 0.3333 0.3438
Zr: 0.3333 0.6667 0.6562
Zr: 0.3333 0.6667 0.8439
Zr: 0.6667 0.3333 0.1561
Fe: 0.6667 0.3333 0.6237
Fe: 0.3333 0.6667 0.3763
Fe: 0.3333 0.6667 0.1235
Fe: 0.6667 0.3333 0.8765
Fe: 0.5000 0.0000 0.5000
Fe: 0.5000 0.5000 0.5000
Fe: 0.0000 0.5000 0.5000
Fe: 0.5000 0.0000 0.0000
Fe: 0.5000 0.5000 0.0000
Fe: 0.0000 0.5000 0.0000
Fe: 0.8334 0.6669 0.7501
Fe: 0.8334 0.1666 0.7501
Fe: 0.3331 0.1666 0.7501
Fe: 0.1666 0.3331 0.2499
Fe: 0.1666 0.8334 0.2499
Fe: 0.6669 0.8334 0.2499

---

Computed, not measured: a relaxed structure of Gd3Ga at the r²SCAN level of DFT.

Summary:
space group	Pm-3m, No. 221
energy relative to the elements	-0.303	eV per atom

Cell lengths 4.7590, 4.7591, 4.7590 Å; angles 90.00, 90.00, 90.00 degrees
Sites, in units of the cell vectors:
Gd: 0.0000 0.5000 0.5000
Gd: 0.5000 0.0000 0.5000
Gd: 0.5000 0.5000 0.0000
Ga: 0.0000 0.0000 0.0000

---

Computed, not measured: a relaxed structure of GdGa at the r²SCAN level of DFT.

Summary:
space group	Cmcm, No. 63
energy relative to the elements	-0.704	eV per atom